_Work order_
The reader should restate the whole of the rows underneath word for word.

_Excerpt_
Entry from the Materials Project database: crystalline Co2OF3 at its relaxed geometry (PBE+U).

Results
Energy relative to the lowest polymorph listed for this composition, meV/atom: 47.1
Total energy after the MP2020 corrections, eV per atom: -6.08
Volume, A^3/atom: 11.520
E_form, eV per atom: -1.9331

```
30
Lattice="4.678 0.000 0.000 0.162 5.617 0.000 0.299 2.604 13.151" Properties=species:S:1:pos:R:3 pbc="T T T"
Co 2.232 2.856 0.206
Co 2.557 4.985 5.297
Co 2.594 3.247 7.899
Co 2.404 1.060 2.605
Co 2.973 7.161 10.442
Co 0.153 2.165 5.256
Co 4.947 4.252 10.551
Co 4.716 3.995 2.678
Co 0.390 6.044 7.906
Co 5.053 8.181 13.031
O 4.028 2.628 11.236
O 3.707 7.269 8.586
O 3.460 5.042 3.447
O 1.456 2.795 1.819
O 1.689 4.854 7.170
F 3.873 2.263 3.418
F 3.831 3.987 0.794
F 4.088 6.125 6.078
F 4.039 4.475 8.711
F 3.289 1.224 0.748
F 3.449 3.322 6.096
F 3.572 5.458 11.426
F 1.714 3.140 9.660
F 1.853 7.012 12.313
F 1.522 0.982 4.465
F 1.055 5.544 1.765
F 1.270 4.223 12.346
F 1.155 2.050 7.081
F 1.334 5.975 9.777
F 1.092 3.805 4.463
```

Entry from the Materials Project database: crystalline LiMnCuO4 at its relaxed geometry (PBE+U).

Results
Total energy after the MP2020 corrections, eV per atom: -6.63
Volume, A^3/atom: 10.187
E_form, eV per atom: -1.6325

```
14
Lattice="-2.885 2.926 4.224 2.885 -2.926 4.224 2.885 2.926 -4.224" Properties=species:S:1:pos:R:3 pbc="T T T"
Li 2.885 1.463 -1.020
Li 0.000 1.463 5.243
Mn -1.443 1.463 2.112
Mn 1.443 1.463 2.112
Cu 0.000 0.000 0.000
Cu 0.000 2.926 0.000
O 1.575 -1.463 4.410
O 0.000 0.179 2.119
O 0.000 2.746 2.119
O 1.310 1.463 0.187
O 1.575 1.463 4.037
O 2.885 2.746 2.105
O 2.885 0.179 2.105
O 1.310 4.389 -0.187
```

Entry from the Materials Project database: crystalline Na2VBPO7 at its relaxed geometry (PBE+U).

Results
Energy relative to the lowest polymorph listed for this composition, meV/atom: 1.6
Total energy after the MP2020 corrections, eV per atom: -7.43
Volume, A^3/atom: 13.593
E_form, eV per atom: -2.5566

```
48
Lattice="-7.634 -3.453 1.147 4.830 -6.490 2.457 -0.283 2.676 8.866" Properties=species:S:1:pos:R:3 pbc="T T T"
Na -1.773 -5.595 4.116
Na -0.379 -0.622 2.222
Na 1.289 -6.363 4.393
Na -4.905 -4.810 3.735
Na -4.375 -0.904 8.077
Na 1.817 -2.459 8.734
Na -1.313 -1.671 8.355
Na -2.708 -6.643 10.247
V 0.366 -3.333 4.559
V -3.450 -3.934 7.912
V -5.863 -1.831 3.979
V 2.780 -5.437 8.491
B -0.890 -8.777 4.049
B 0.513 -3.753 2.199
B -2.196 1.511 8.421
B -3.600 -3.514 10.273
P -2.701 -2.079 5.065
P -4.124 -7.065 6.865
P -0.385 -5.188 7.406
P 1.040 -0.202 5.605
O -2.044 -1.059 0.849
O -3.383 -5.993 2.693
O -1.042 -6.207 11.621
O 0.297 -1.274 9.778
O -6.059 -3.218 2.574
O 0.183 -4.688 3.237
O 2.972 -4.048 9.895
O -3.270 -2.579 9.235
O -0.682 -7.525 4.807
O 0.758 -2.514 2.905
O -2.404 0.259 7.663
O -3.846 -4.753 9.566
O -0.169 -4.838 5.923
O -6.323 -3.281 5.263
O -2.917 -2.428 6.549
O 3.238 -3.988 7.207
O -2.336 -0.573 4.916
O -3.729 -5.577 6.716
O -0.755 -6.693 7.553
O 0.644 -1.690 5.756
O -1.534 -2.939 4.481
O -3.027 -8.000 6.305
O -3.956 -2.426 4.228
O 2.210 -3.891 4.902
O 0.869 -4.843 8.244
O -5.296 -3.376 7.569
O -1.551 -4.326 7.989
O -0.059 0.733 6.163
```

Entry from the Materials Project database: crystalline Na2TmMoPO8 at its relaxed geometry (PBE+U).

Results
Total energy after the MP2020 corrections, eV per atom: -7.63
Volume, A^3/atom: 14.561
E_form, eV per atom: -2.7818

```
52
Lattice="6.210 -9.502 -1.489 -1.666 -6.131 9.523 -4.946 4.273 -9.399" Properties=species:S:1:pos:R:3 pbc="T T T"
Na -2.626 -3.662 0.615
Na 2.224 -7.698 -1.980
Na -1.968 -5.578 -3.484
Na 4.019 -13.547 6.134
Na 1.566 -5.781 2.120
Na -4.422 2.187 -7.498
Na -1.896 -6.063 3.530
Na 1.494 -5.296 -4.894
Tm 0.393 -7.350 5.987
Tm -0.796 -4.010 -7.351
Tm -1.428 -1.395 -1.908
Tm 1.025 -9.964 0.543
Mo -1.524 -7.280 -0.067
Mo 1.122 -4.080 -1.297
Mo 3.393 -11.896 2.720
Mo -3.796 0.537 -4.085
P -4.872 -1.753 -0.657
P 4.469 -9.606 -0.707
P -1.108 -2.718 -4.662
P 0.706 -8.641 3.298
O -1.414 -2.083 -6.038

_Result_
Entry from the Materials Project database: crystalline Co2OF3 at its relaxed geometry (PBE+U).

Results
Energy relative to the lowest polymorph listed for this composition, meV/atom: 47.1
Total energy after the MP2020 corrections, eV per atom: -6.08
Volume, A^3/atom: 11.520
E_form, eV per atom: -1.9331

```
30
Lattice="4.678 0.000 0.000 0.162 5.617 0.000 0.299 2.604 13.151" Properties=species:S:1:pos:R:3 pbc="T T T"
Co 2.232 2.856 0.206
Co 2.557 4.985 5.297
Co 2.594 3.247 7.899
Co 2.404 1.060 2.605
Co 2.973 7.161 10.442
Co 0.153 2.165 5.256
Co 4.947 4.252 10.551
Co 4.716 3.995 2.678
Co 0.390 6.044 7.906
Co 5.053 8.181 13.031
O 4.028 2.628 11.236
O 3.707 7.269 8.586
O 3.460 5.042 3.447
O 1.456 2.795 1.819
O 1.689 4.854 7.170
F 3.873 2.263 3.418
F 3.831 3.987 0.794
F 4.088 6.125 6.078
F 4.039 4.475 8.711
F 3.289 1.224 0.748
F 3.449 3.322 6.096
F 3.572 5.458 11.426
F 1.714 3.140 9.660
F 1.853 7.012 12.313
F 1.522 0.982 4.465
F 1.055 5.544 1.765
F 1.270 4.223 12.346
F 1.155 2.050 7.081
F 1.334 5.975 9.777
F 1.092 3.805 4.463
```

Entry from the Materials Project database: crystalline LiMnCuO4 at its relaxed geometry (PBE+U).

Results
Total energy after the MP2020 corrections, eV per atom: -6.63
Volume, A^3/atom: 10.187
E_form, eV per atom: -1.6325

```
14
Lattice="-2.885 2.926 4.224 2.885 -2.926 4.224 2.885 2.926 -4.224" Properties=species:S:1:pos:R:3 pbc="T T T"
Li 2.885 1.463 -1.020
Li 0.000 1.463 5.243
Mn -1.443 1.463 2.112
Mn 1.443 1.463 2.112
Cu 0.000 0.000 0.000
Cu 0.000 2.926 0.000
O 1.575 -1.463 4.410
O 0.000 0.179 2.119
O 0.000 2.746 2.119
O 1.310 1.463 0.187
O 1.575 1.463 4.037
O 2.885 2.746 2.105
O 2.885 0.179 2.105
O 1.310 4.389 -0.187
```

Entry from the Materials Project database: crystalline Na2VBPO7 at its relaxed geometry (PBE+U).

Results
Energy relative to the lowest polymorph listed for this composition, meV/atom: 1.6
Total energy after the MP2020 corrections, eV per atom: -7.43
Volume, A^3/atom: 13.593
E_form, eV per atom: -2.5566

```
48
Lattice="-7.634 -3.453 1.147 4.830 -6.490 2.457 -0.283 2.676 8.866" Properties=species:S:1:pos:R:3 pbc="T T T"
Na -1.773 -5.595 4.116
Na -0.379 -0.622 2.222
Na 1.289 -6.363 4.393
Na -4.905 -4.810 3.735
Na -4.375 -0.904 8.077
Na 1.817 -2.459 8.734
Na -1.313 -1.671 8.355
Na -2.708 -6.643 10.247
V 0.366 -3.333 4.559
V -3.450 -3.934 7.912
V -5.863 -1.831 3.979
V 2.780 -5.437 8.491
B -0.890 -8.777 4.049
B 0.513 -3.753 2.199
B -2.196 1.511 8.421
B -3.600 -3.514 10.273
P -2.701 -2.079 5.065
P -4.124 -7.065 6.865
P -0.385 -5.188 7.406
P 1.040 -0.202 5.605
O -2.044 -1.059 0.849
O -3.383 -5.993 2.693
O -1.042 -6.207 11.621
O 0.297 -1.274 9.778
O -6.059 -3.218 2.574
O 0.183 -4.688 3.237
O 2.972 -4.048 9.895
O -3.270 -2.579 9.235
O -0.682 -7.525 4.807
O 0.758 -2.514 2.905
O -2.404 0.259 7.663
O -3.846 -4.753 9.566
O -0.169 -4.838 5.923
O -6.323 -3.281 5.263
O -2.917 -2.428 6.549
O 3.238 -3.988 7.207
O -2.336 -0.573 4.916
O -3.729 -5.577 6.716
O -0.755 -6.693 7.553
O 0.644 -1.690 5.756
O -1.534 -2.939 4.481
O -3.027 -8.000 6.305
O -3.956 -2.426 4.228
O 2.210 -3.891 4.902
O 0.869 -4.843 8.244
O -5.296 -3.376 7.569
O -1.551 -4.326 7.989
O -0.059 0.733 6.163
```

Entry from the Materials Project database: crystalline Na2TmMoPO8 at its relaxed geometry (PBE+U).

Results
Total energy after the MP2020 corrections, eV per atom: -7.63
Volume, A^3/atom: 14.561
E_form, eV per atom: -2.7818

```
52
Lattice="6.210 -9.502 -1.489 -1.666 -6.131 9.523 -4.946 4.273 -9.399" Properties=species:S:1:pos:R:3 pbc="T T T"
Na -2.626 -3.662 0.615
Na 2.224 -7.698 -1.980
Na -1.968 -5.578 -3.484
Na 4.019 -13.547 6.134
Na 1.566 -5.781 2.120
Na -4.422 2.187 -7.498
Na -1.896 -6.063 3.530
Na 1.494 -5.296 -4.894
Tm 0.393 -7.350 5.987
Tm -0.796 -4.010 -7.351
Tm -1.428 -1.395 -1.908
Tm 1.025 -9.964 0.543
Mo -1.524 -7.280 -0.067
Mo 1.122 -4.080 -1.297
Mo 3.393 -11.896 2.720
Mo -3.796 0.537 -4.085
P -4.872 -1.753 -0.657
P 4.469 -9.606 -0.707
P -1.108 -2.718 -4.662
P 0.706 -8.641 3.298
O -1.414 -2.083 -6.038